Contents.
~~~
Record 1
AcLuRhPb after structural relaxation. Source: Alexandria, functional GGA-PBE.

abc: 7.566 7.566 7.566
angles: 90.00 90.00 90.00
Space group F-43m (No. 216)
One atom of each set of equivalent atoms:
Ac1 0.000 0.000 0.000 (multiplicity 4)
Lu1 0.000 0.000 0.500 (multiplicity 4)
Rh1 0.250 0.250 0.250 (multiplicity 4)
Pb1 0.250 0.250 0.750 (multiplicity 4)

Output
The formation energy comes out at -363 meV per atom.

Record 2
Pu2Si4Ni3Os after structural relaxation. Source: Alexandria, functional GGA-PBE.

abc: 4.006 4.006 9.632
angles: 90.00 90.00 90.00
Space group P-4m2 (No. 115)
One atom of each set of equivalent atoms:
Pu1 0.000 0.500 0.242 (multiplicity 2)
Si1 0.000 0.000 0.000 (multiplicity 1)
Si2 0.000 0.500 0.637 (multiplicity 2)
Si3 0.500 0.500 0.000 (multiplicity 1)
Ni1 0.000 0.500 0.878 (multiplicity 2)
Ni2 0.500 0.500 0.500 (multiplicity 1)
Os1 0.000 0.000 0.500 (multiplicity 1)

Output
The calculation puts the formation energy (no corrections) at -0.633 eV per atom.

| no. | Fermi-level density of states (states/eV/f.u.) |
| --- | --- |
| 1 | 3.88 |
| 2 | 24.91 |


(1)
Below is a relaxed Ge2AsHI crystal, with properties calculated at the PBE-GGA level.

For the raw total energy, the calculation gives -16.8 eV for the cell shown.

The space group is P4/mmm (No. 123) and the conventional cell measures 5.414, 5.414 and 3.618 Å, with angles of 90.00, 90.00 and 90.00 degrees. Symmetry generates all atoms from Ge at (0.000, 0.500, 0.000), As at (0.000, 0.000, 0.000), H at (0.000, 0.000, 0.500) and I at (0.500, 0.500, 0.500).

(2)
Below is a relaxed LiCrMoW2 crystal, with properties calculated at the PBE-GGA level.

For the raw total energy, the calculation gives -41.1 eV for the cell shown. The calculation puts the formation energy at 1.427 eV per atom.

The space group is P4/mmm (No. 123) and the conventional cell measures 4.544, 4.544 and 4.501 Å, with angles of 90.00, 90.00 and 90.00 degrees. Symmetry generates all atoms from Li at (0.000, 0.000, 0.000), Cr at (0.500, 0.500, 0.500), Mo at (0.500, 0.500, 0.000) and W at (0.000, 0.500, 0.500).


Entry 1:
The following is a DFT calculation (GGA-PBEsol) of a relaxed TlAg4Sb crystal.

Lattice parameters (Å, degrees): 5.533 5.533 5.533 60.00 60.00 60.00
Element x y z (fractional)
Sb  0.750  0.750  0.750
Tl  0.000  0.000  0.000
Ag  0.875  0.375  0.375
Ag  0.375  0.375  0.375
Ag  0.375  0.375  0.875
Ag  0.375  0.875  0.375

Raw total energy = -3.33 eV/atom

Entry 2:
The following is a DFT calculation (GGA-PBEsol) of a relaxed Ag2SbW crystal.

Lattice parameters (Å, degrees): 2.887 4.423 5.628 90.00 90.00 90.00
Element x y z (fractional)
Sb  0.500  0.500  0.000
Ag  0.000  0.000  0.734
Ag  0.000  0.000  0.266
W  0.500  0.500  0.500

Raw total energy = -5.59 eV/atom

Entry 3:
The following is a DFT calculation (GGA-PBEsol) of a relaxed Ag2SbW crystal.

Lattice parameters (Å, degrees): 3.976 3.976 4.437 90.00 90.00 90.00
Each line ends with the local moment (μB).
Element x y z (fractional)
Sb  0.500  0.500  0.500  0.00
Ag  0.000  0.500  0.000  0.00
Ag  0.500  0.000  0.000  0.00
W  0.000  0.000  0.500  0.50

Raw total energy = -5.63 eV/atom

Entry 4:
The following is a DFT calculation (GGA-PBEsol) of a relaxed AgSb2W crystal.

Lattice parameters (Å, degrees): 4.062 4.062 5.584 111.33 111.33 90.00
Each line ends with the local moment (μB).
Element x y z (fractional)
Sb  0.000  0.000  0.000  0.00
Sb  0.750  0.250  0.500  -0.01
Ag  0.250  0.750  0.500  0.00
W  0.500  0.500  0.000  0.71

Distance to the lowest polymorph of the same formula = 1.20 eV per formula unit

Entry 5:
The following is a DFT calculation (GGA-PBEsol) of a relaxed Ag4SbW crystal.

Lattice parameters (Å, degrees): 5.372 5.372 5.372 60.00 60.00 60.00
Each line ends with the local moment (μB).
Element x y z (fractional)
Ag  0.375  0.375  0.375  0.06
Ag  0.375  0.375  0.876  0.06
Ag  0.876  0.375  0.375  0.06
Ag  0.375  0.876  0.375  0.06
Sb  0.750  0.750  0.750  -0.04
W  0.000  0.000  0.000  2.15
~~~
Exercise.
Now type out the rows earlier on without altering anything.
Written answer.
Record 1
AcLuRhPb after structural relaxation. Source: Alexandria, functional GGA-PBE.

abc: 7.566 7.566 7.566
angles: 90.00 90.00 90.00
Space group F-43m (No. 216)
One atom of each set of equivalent atoms:
Ac1 0.000 0.000 0.000 (multiplicity 4)
Lu1 0.000 0.000 0.500 (multiplicity 4)
Rh1 0.250 0.250 0.250 (multiplicity 4)
Pb1 0.250 0.250 0.750 (multiplicity 4)

Output
The formation energy comes out at -363 meV per atom.

Record 2
Pu2Si4Ni3Os after structural relaxation. Source: Alexandria, functional GGA-PBE.

abc: 4.006 4.006 9.632
angles: 90.00 90.00 90.00
Space group P-4m2 (No. 115)
One atom of each set of equivalent atoms:
Pu1 0.000 0.500 0.242 (multiplicity 2)
Si1 0.000 0.000 0.000 (multiplicity 1)
Si2 0.000 0.500 0.637 (multiplicity 2)
Si3 0.500 0.500 0.000 (multiplicity 1)
Ni1 0.000 0.500 0.878 (multiplicity 2)
Ni2 0.500 0.500 0.500 (multiplicity 1)
Os1 0.000 0.000 0.500 (multiplicity 1)

Output
The calculation puts the formation energy (no corrections) at -0.633 eV per atom.

| no. | Fermi-level density of states (states/eV/f.u.) |
| --- | --- |
| 1 | 3.88 |
| 2 | 24.91 |


(1)
Below is a relaxed Ge2AsHI crystal, with properties calculated at the PBE-GGA level.

For the raw total energy, the calculation gives -16.8 eV for the cell shown.

The space group is P4/mmm (No. 123) and the conventional cell measures 5.414, 5.414 and 3.618 Å, with angles of 90.00, 90.00 and 90.00 degrees. Symmetry generates all atoms from Ge at (0.000, 0.500, 0.000), As at (0.000, 0.000, 0.000), H at (0.000, 0.000, 0.500) and I at (0.500, 0.500, 0.500).

(2)
Below is a relaxed LiCrMoW2 crystal, with properties calculated at the PBE-GGA level.

For the raw total energy, the calculation gives -41.1 eV for the cell shown. The calculation puts the formation energy at 1.427 eV per atom.

The space group is P4/mmm (No. 123) and the conventional cell measures 4.544, 4.544 and 4.501 Å, with angles of 90.00, 90.00 and 90.00 degrees. Symmetry generates all atoms from Li at (0.000, 0.000, 0.000), Cr at (0.500, 0.500, 0.500), Mo at (0.500, 0.500, 0.000) and W at (0.000, 0.500, 0.500).


Entry 1:
The following is a DFT calculation (GGA-PBEsol) of a relaxed TlAg4Sb crystal.

Lattice parameters (Å, degrees): 5.533 5.533 5.533 60.00 60.00 60.00
Element x y z (fractional)
Sb  0.750  0.750  0.750
Tl  0.000  0.000  0.000
Ag  0.875  0.375  0.375
Ag  0.375  0.375  0.375
Ag  0.375  0.375  0.875
Ag  0.375  0.875  0.375

Raw total energy = -3.33 eV/atom

Entry 2:
The following is a DFT calculation (GGA-PBEsol) of a relaxed Ag2SbW crystal.

Lattice parameters (Å, degrees): 2.887 4.423 5.628 90.00 90.00 90.00
Element x y z (fractional)
Sb  0.500  0.500  0.000
Ag  0.000  0.000  0.734
Ag  0.000  0.000  0.266
W  0.500  0.500  0.500

Raw total energy = -5.59 eV/atom

Entry 3:
The following is a DFT calculation (GGA-PBEsol) of a relaxed Ag2SbW crystal.

Lattice parameters (Å, degrees): 3.976 3.976 4.437 90.00 90.00 90.00
Each line ends with the local moment (μB).
Element x y z (fractional)
Sb  0.500  0.500  0.500  0.00
Ag  0.000  0.500  0.000  0.00
Ag  0.500  0.000  0.000  0.00
W  0.000  0.000  0.500  0.50

Raw total energy = -5.63 eV/atom

Entry 4:
The following is a DFT calculation (GGA-PBEsol) of a relaxed AgSb2W crystal.

Lattice parameters (Å, degrees): 4.062 4.062 5.584 111.33 111.33 90.00
Each line ends with the local moment (μB).
Element x y z (fractional)
Sb  0.000  0.000  0.000  0.00
Sb  0.750  0.250  0.500  -0.01
Ag  0.250  0.750  0.500  0.00
W  0.500  0.500  0.000  0.71

Distance to the lowest polymorph of the same formula = 1.20 eV per formula unit

Entry 5:
The following is a DFT calculation (GGA-PBEsol) of a relaxed Ag4SbW crystal.

Lattice parameters (Å, degrees): 5.372 5.372 5.372 60.00 60.00 60.00
Each line ends with the local moment (μB).
Element x y z (fractional)
Ag  0.375  0.375  0.375  0.06
Ag  0.375  0.375  0.876  0.06
Ag  0.876  0.375  0.375  0.06
Ag  0.375  0.876  0.375  0.06
Sb  0.750  0.750  0.750  -0.04
W  0.000  0.000  0.000  2.15